“The ground started to crack with fractures as eight legged creatures started to pour out. You recognize them immediately. These were the Aranea. Winged-spiders the size of cows. Creatures summoned by those Eldritch Mages. While significantly smaller than the horned creature, you know for a fact that they are not any less dangerous. Some unfortunate souls fell into the crevasse never to be seen again. While some fell victim to the monstrosities that emerged from the fissures. There are countless of them. The militia is getting overwhelmed and majority of the townsfolk have started to flee, abandoning hope, never looking back. As they ran past the fountain, you see one of them get knocked down violently. One of the creatures notice this and quickly sprints towards his direction. You recognize him from the academy. He is in one of your defense classes, and you know for a fact that his fighting skills are inept. He will not survive.
You have never been in a fight outside of training. You look behind you for support,but to your surprise, your friends are not there anymore. You are confident you can outrun these creatures to safety in the hopes of fighting another day. But are you willing to leave your hapless peer to perish?
What do you do?

- - -
# C35H24N3O8RuS4

A molecular structure, C35H24N3O8RuS4 in a non-equilibrium geometry (wB97M-V/def2-TZVPD, the Open Molecules 2025 dataset).

```
75
C35H24N3O8RuS4 wB97M-V/def2-TZVPD
Ru 0.1408 -0.5339 0.2188
N -0.8093 3.5889 0.4155
C -0.3803 4.1290 1.6438
C -0.0931 5.4796 1.7488
C 0.3004 6.0162 2.9691
C 0.4354 5.1874 4.0696
C 0.1788 3.8266 3.9471
C -0.2577 3.2860 2.7451
S -0.6744 1.5718 2.6771
N -0.4394 1.3218 0.9983
C -0.5948 2.2556 0.1374
C -0.6197 1.8189 -1.2626
C -0.9297 2.6204 -2.3511
C -0.9315 2.0491 -3.6100
C -0.6129 0.7071 -3.7479
C -0.3242 -0.0334 -2.6195
N -0.3465 0.5216 -1.4001
H -0.7306 4.2126 -0.3688
H -0.1842 6.1138 0.8734
H 0.5138 7.0748 3.0451
H 0.7583 5.5876 5.0223
H 0.3149 3.1673 4.7961
H -1.1827 3.6654 -2.2395
H -1.1752 2.6538 -4.4740
H -0.5903 0.2242 -4.7147
H -0.0606 -1.0827 -2.6442
O 2.1498 -4.0661 -1.5168
S 2.3841 -2.6960 -1.1090
O 3.3485 -2.4786 -0.0735
O 1.0653 -2.0368 -0.8939
C 3.0521 -1.9024 -2.6014
C 3.1663 -2.7427 -3.7073
C 3.6954 -2.3020 -4.9094
C 4.1256 -0.9891 -5.0214
C 4.0063 -0.1421 -3.9320
C 3.4738 -0.5731 -2.7188
S 3.3864 0.7058 -1.4379
O 4.5481 0.5458 -0.6023
O 3.3456 1.9495 -2.1988
O 2.0982 0.4289 -0.7997
H 2.8307 -3.7640 -3.5970
H 3.7674 -2.9853 -5.7478
H 4.5454 -0.6156 -5.9484
H 4.3089 0.8933 -4.0067
O -2.2551 -2.4334 3.3982
C -1.2396 -1.8060 3.0810
O -1.1985 -0.8837 2.1983
C 0.0491 -2.0911 3.8189
C -0.0496 -2.8629 4.9795
C 1.0531 -3.1943 5.7407
C 2.3096 -2.7726 5.3073
C 2.4281 -2.0305 4.1524
C 1.3056 -1.6402 3.3904
S 1.7087 -0.5870 2.0406
H -1.0443 -3.1952 5.2496
H 0.9442 -3.7856 6.6432
H 3.2029 -3.0445 5.8605
H 3.4050 -1.7349 3.7899
C -5.4176 0.4132 -0.8392
C -4.4468 0.9660 0.0225
C -3.2423 0.3422 0.1958
C -2.9027 -0.8596 -0.4778
C -1.6135 -1.4928 -0.3482
C -1.5303 -2.7879 -0.8043
C -2.5800 -3.4198 -1.5097
C -3.7375 -2.7599 -1.7894
C -3.9307 -1.4628 -1.2519
C -5.1624 -0.7848 -1.4416
H -6.3699 0.9111 -0.9840
H -4.6643 1.8693 0.5809
H -2.5471 0.7187 0.9256
H -0.6132 -3.3412 -0.6746
H -2.4234 -4.4327 -1.8651
H -4.5261 -3.2148 -2.3795
H -5.9147 -1.2612 -2.0630
```

Calculated values
- Energy relative to the best compared isomer or geometry (same formula, charge and spin): 106.2 kJ/mol
- Charge: -2
- Spin multiplicity: 2
- Kohn-Sham gap (alpha / beta): 5.425 / 5.344 eV
- HOMO (alpha / beta): -1.5 / -1.4 eV
- LUMO energy (alpha / beta): 3.93 / 3.93 eV

=====

<one>
A 4-piece molecular cluster, C4H14O3 overall, computed with the ωB97M-V functional and the def2-TZVPD basis.

The gap between HOMO and LUMO is 9.425 eV. As for the charge: 0. Its structure (SMILES) is C/C=C/C.O.O.O. The calculation puts the LUMO energy at 0.37 eV. Its spin multiplicity is 1.

Each line ends with the Mulliken charge.
Positions of all 21 atoms, in Å:
1 C -1.8129 -1.2887 0.8221  -1.201
2 C -0.5471 -1.1886 0.0085  0.352
3 C 0.2145 -2.1918 -0.3276  -0.292
4 C 1.5653 -1.8383 -1.0087  -0.835
5 H -2.2443 -0.3055 0.8665  0.207
6 H -2.5547 -1.9635 0.4124  0.383
7 H -1.5184 -1.6903 1.7949  0.286
8 H -0.2801 -0.1093 -0.1781  0.107
- - -
If you read my previous article, then you’d probably be familiar with the excerpt above. It’s the ideal beginning of a Table-top Roleplaying Game. But what exactly is it? I think to properly define it, we need start from where it comes from. To do that, let’sask the more appropriate question, what is a roleplaying game?
A roleplaying game or more widely knowns as RPG, is a type of game where players assume the role of a person other than herself. Normally, this is a fictional character in a fantasy or sci-fi setting. The players are then thrust into a world where all their decisions and actions determine the outcome of the game. There are several types of RPGs but the original system which is table-top,is what we’ll focus on in this article. So, in the table-top version, theplayers are expected to sit in one table where their interactions with each other can be fully exploited. The whole game will revolve on an over-arching storyline and a set of rules that is utilized by a Game Master or a GM. The more experienced the GM is, the smoother the game goes, as she will act as the mediator or referee on how the players interact with the world and the elements of the story based on the agreed rules. Think of it as an interactive RadioShow, with the listeners having free will.
A Brief History
The roots of Table-top Roleplaying games run deep to the ancient Indian game called Chaturanga. The game eventually developed into the classic game we know today as Chess. This gave the rise to more strategy based table-top games that pushed the envelope of gamers around the world. Then came about the creation of war gaming in the 19thcentury, where players simulated military battles using miniature soldiers,vehicles, and artillery seen in an actual battlefield. 100 years later,Chainmail, a medieval miniature war game was released, which became the foundation for Dungeons and Dragons (D&D), the first ever Table-top Roleplaying game created.
The Mechanics
As I mentioned earlier, the game runs on an intricate system or set of rules that the players must adhere to. While they are not set in stone, it is important that theplayers follow these guidelines to avoid unnecessary chaos. First off, a game cannot start without a Game Master (GM) or in Dungeons and Dragons (D&D) a Dungeon Master (DM). This is because the Game Master is in charge of creating the setting for the specific game session, the actions of its denizens ornon-player characters (NPCs), and of course the enforcement of the system rules. The players should also have their created characters ready for the adventure. The basis of their characters will differ depends on what the Game Master dictated, but in the end this collective of Player Characters (PC) is known as the “party”.
The game begins with a specific event to start off the story, and most of the time this is where the Game Master introduces the main objective of the party known as the “quest”. The goal is to finish this quest through the controlled actions of the party members. As with any other game, this can be done by interacting with the world and its inhabitants or NPCs. And of course, the party will have to go through different micro-moments of combat, cooperation, and negotiation all the while roleplaying in the process. The rules of the system determine the outcome of these micro-moments often using dice rolls that are then added to the different statistics of party members. A common example is rolling a twenty sided die to find out if you are able to hit an enemy monster inside the game.If the monster’s armor class is 15, but the player rolled a 13 on the die, she should miss. But fortunately for her, she has a +2 bonus on attack rolls made to monsters so effectively she got a 15, which is enough to hit the enemy.
Nowadays, there are hundreds if not thousands of table-top roleplaying games that run on different rule sets. Not to mention that they all have different settings as well depends on a player’s preference. One thing’s for sure,they’re all designed to 100% promote role-playing for all players involved,even the Game Master.
Character Creation
# Molecular data that have nothing to do with the piece
********
Arrangement P

Formula: C5H7NO2
Source: the OMol25 dataset
Level of theory: ωB97M-V/def2-TZVPD

Properties
Structure (SMILES): C#[N+][O-].CC(C)=C=O
Highest occupied orbital energy (eV): -8.18

Last column: natural (NBO) charge in e.
CARTESIAN COORDINATES (ANGSTROEM)
C1 -0.818 -0.085 -2.330  -0.046
N1 -0.784 1.007 -1.959  0.222
O1 -0.830 2.096 -1.476  -0.408
H1 -1.075 -0.850 -2.896  0.235
C2 -0.793 0.212 1.454  -0.604
C3 0.232 -0.540 0.675  -0.311
C4 1.667 0.052 0.640  -0.600
C5 -0.112 -1.487 -0.210  0.689
O2 -0.411 -2.460 -0.777  -0.488
H2 -0.495 0.316 2.433  0.211
H3 -1.779 -0.187 1.456  0.223
H4 -0.657 1.246 1.114  0.220
H5 1.609 0.877 1.311  0.218
H6 1.844 0.519 -0.319  0.216
H7 2.400 -0.716 0.885  0.223

---

Arrangement Q

Formula: C5H7NO2
Source: the OMol25 dataset
Level of theory: ωB97M-V/def2-TZVPD

Properties
Highest occupied orbital energy (eV): -9.80

Last column: natural (NBO) charge in e.
CARTESIAN COORDINATES (ANGSTROEM)
C1 2.307 -0.232 -0.318  -0.758
C2 1.191 0.786 -0.168  0.683
C3 -0.406 -0.738 0.658  -0.284
C4 -1.169 0.448 0.050  -0.185
C5 -2.557 0.130 -0.358  0.433
H1 1.874 -1.306 -1.173  0.269
H2 3.320 0.330 -0.864  0.266
H3 2.570 -0.567 0.897  0.268
H4 -0.664 -1.721 0.621  0.206
H5 -0.150 -0.539 1.776  0.221
H6 -1.164 1.450 0.522  0.235
H7 -2.756 -0.815 -1.108  0.107
N1 -0.077 0.014 -0.595  -0.422
O1 1.197 1.923 0.152  -0.521
O2 -3.516 0.836 -0.090  -0.518

---

Arrangement R

Formula: C5H7NO2
Source: the OMol25 dataset
Level of theory: ωB97M-V/def2-TZVPD

Properties
Structure (SMILES): O=CN1[C@@H]2COC[C@@H]21
Highest occupied orbital energy (eV): -9.91

Last column: natural (NBO) charge in e.
CARTESIAN COORDINATES (ANGSTROEM)
O1 1.926 1.482 -1.478  -0.584
C1 1.236 1.565 -0.429  0.526
N1 0.224 0.728 -0.106  -0.445
C2 0.327 -0.716 -0.480  -0.090
C3 -1.130 -1.267 -0.610  -0.072
O2 -1.853 -0.813 0.442  -0.496
C4 -0.966 -0.555 1.525  -0.113
C5 0.369 -0.260 0.991  -0.110
H1 1.508 2.250 0.413  0.122
H2 1.289 -0.940 -0.940  0.250
H3 -1.012 -2.339 -0.810  0.170
H4 -1.683 -0.781 -1.453  0.204
H5 -1.533 0.307 1.926  0.209
H6 -1.071 -1.264 2.372  0.194
H7 1.326 -0.289 1.540  0.235

---

Arrangement S

Formula: C5H7NO2
Source: the OMol25 dataset
Level of theory: ωB97M-V/def2-TZVPD

Properties
Structure (SMILES): [H]/N=C\O[C@@]1(C)OC1=C
Highest occupied orbital energy (eV): -9.69

Last column: natural (NBO) charge in e.
CARTESIAN COORDINATES (ANGSTROEM)
H1 -1.553 -1.007 -0.145  0.347
N1 -2.122 -0.528 0.547  -0.670
C1 -1.644 0.488 1.077  0.417
O1 -0.581 1.324 0.708  -0.502
C2 0.399 0.708 -0.056  0.449
C3 0.340 1.017 -1.530  -0.650
O2 1.686 0.664 0.563  -0.447
C4 1.012 -0.510 0.468  0.266
C5 1.176 -1.791 0.686  -0.513
H2 -2.197 1.007 1.851  0.167
H3 1.169 0.538 -2.044  0.233
H4 -0.604 0.667 -1.943  0.227
H5 0.399 2.095 -1.670  0.231
H6 2.100 -2.171 1.086  0.223
H7 0.420 -2.501 0.403  0.221

---

Most stable structure - arrangement R; separation to the second - 0.0034 hartree.

---

Arrangement P

Formula: C3H14O4
Source: the OMol25 dataset
********

Even before the game begins, the character creation phase is considered one of the most sought out experiences in a roleplaying session. This is where you flesh out the persona and identity of the hero you want to portray. The creation process of course will still have to follow the rules system indicated by the GM, but this does not mean you cannot be flexible. Players normally start out by picking out a class from a list of default archetypes. A soldier who specializes in wearing heavy armor and wielding deadly melee weapons. A mage who specializes in casting spells. And lastly, a rogue who specialize in firing arrows, and sneaking about. In today’s game systems, these archetypes have been expanded further to give more variety and flavor to players. Though their core nature is retained. This is to make sure that each class will have its unique strengths and weaknesses. This forces players to cooperate to achieve the supposed goalor fail.
The World Setting

Attached: data records.
/*
Here is a molecular structure, C26H31F5N4O3S3SeTeTi from OMol25. Energies are from the ωB97M-V functional and the def2-TZVPD basis.

Values from the calculation:
<S²> = 0.76
2S+1 = 2
Frontier orbital gap (spin up / spin down) = 8.341 / 4.891 eV
Largest force on an atom = 0.7 eV/A
Net charge = +1
Relative energy (zero: lowest compared OMol25 entry of this formula, charge and spin) = 1.3 kcal per mole
HOMO energy (spin up / spin down) = -10.6323 / -10.6321 eV
LUMO energy (spin up / spin down) = -2.29 / -5.74 eV
E = -6666.96161 Ha

Positions of all 75 atoms, in Å:
Ti  -1.271  -0.318  0.684
C  1.615  2.976  -0.060
C  0.918  3.670  -1.226
S  -0.492  2.587  -1.604
C  -0.553  2.489  -3.402
C  0.512  1.624  -4.075
S  0.582  -0.053  -3.387
C  2.270  -0.099  -2.734
C  2.660  1.056  -1.820
S  1.564  1.197  -0.394
H  1.069  3.075  0.878
H  2.641  3.306  0.096
H  1.562  3.746  -2.101
H  0.563  4.668  -0.973
H  -0.542  3.508  -3.798
H  -1.544  2.073  -3.586
H  1.497  2.085  -4.018
H  0.264  1.555  -5.134
H  2.986  -0.142  -3.555
H  2.331  -1.049  -2.200
H  2.690  2.002  -2.356
H  3.661  0.883  -1.417
O  -2.742  0.244  -0.919
C  -2.696  -0.956  -1.279
N  -3.575  -1.685  -1.964
C  -3.113  -3.072  -2.079
C  -1.737  -2.962  -1.355
O  -0.954  -3.870  -1.230
N  -1.611  -1.683  -0.878
C  -3.015  -3.482  -3.538
C  -1.803  -3.593  -4.205
C  -1.778  -3.922  -5.555
C  -2.960  -4.138  -6.245
C  -4.176  -4.028  -5.581
C  -4.201  -3.707  -4.235
C  -3.937  -4.033  -1.227
C  -3.813  -5.403  -1.444
C  -4.464  -6.301  -0.614
C  -5.244  -5.841  0.440
C  -5.364  -4.479  0.662
C  -4.708  -3.575  -0.165
H  -4.438  -1.325  -2.336
H  -0.872  -3.444  -3.675
H  -0.828  -4.016  -6.065
H  -2.937  -4.398  -7.295
H  -5.103  -4.203  -6.112
H  -5.152  -3.652  -3.715
H  -3.206  -5.764  -2.265
H  -4.369  -7.364  -0.795
H  -5.758  -6.544  1.082
H  -5.970  -4.112  1.480
H  -4.799  -2.514  0.030
F  1.477  1.175  2.622
Te  0.545  -0.307  3.457
F  2.120  -1.228  3.021
F  -2.544  -0.841  1.806
F  -1.092  1.423  1.129
F  1.460  0.122  5.072
O  0.125  -0.945  1.442
C  2.823  -4.167  4.036
N  1.760  -4.364  3.055
C  1.854  -5.144  1.926
C  0.639  -5.141  1.334
N  -0.181  -4.354  2.107
C  -1.609  -4.150  1.884
C  0.515  -3.873  3.149
Se  -0.164  -2.788  4.514
H  3.658  -4.802  3.754
H  2.462  -4.454  5.021
H  3.129  -3.127  4.052
H  2.771  -5.634  1.650
H  0.287  -5.599  0.428
H  -1.897  -4.711  1.000
H  -1.820  -3.093  1.745
H  -2.164  -4.507  2.749

***

Here is a molecular structure, C8H18BI2O4PS from OMol25. Energies are from the ωB97M-V functional and the def2-TZVPD basis.

Values from the calculation:
Frontier orbital gap = 7.285 eV
Largest force on an atom = 1.3 eV/A
Net charge = 0
HOMO energy = -7.7216 eV
LUMO energy = -0.44 eV
E = -1976.31812 Ha

Positions of all 35 atoms, in Å:
C  0.527  0.741  1.493
C  0.129  2.096  1.028
I  -0.030  3.553  2.549
C  -0.121  2.365  -0.239
I  -0.645  4.334  -0.881
B  -0.136  1.353  -1.400
C  0.802  0.090  -1.570
C  2.288  0.447  -1.820
C  2.539  1.882  -2.189
*/
End of the data records.
Where the game happens is also one of the most important things to consider before committing to asession. This defines the time, place, and technically the universe where the adventure begins. The most common one is of the 13th age or the medieval times where majority of fantasy settings originate from like Tolkien’s masterpiece “The Lord of the Rings”. There are also some that imitate the present time like “World of Darkness” where players get to play the part of vampires that try to survive the modern age. There are a few new ones that attempt to combine different genres into one system, which results to players having more diverse experiences when it comes to their role-playing.
And there you have it. A brief, but concise introduction to what a Table-topRoleplaying game is. While it may be a challenge to pick which system to tryout, always bear in mind that role-playing is key to enjoying the gaming session in its full potential. Pick with a setting that tickles your fancy thenstart creating your first character!